The Importance of the Printing Press for the Protestant Reformation, Part Two
October 14, 2013
Editors' Note: This is the second article of a two part series by Dr. Barry Waugh. The first article can be found here.
Martin Luther's Publishing in Germany
When Martin Luther nailed his Ninety-Five Theses to the door of the Wittenberg Church on October 31, 1517, he was calling for a disputation concerning indulgences. His action was not one of defiant vandalism; the church door was the church bulletin board of the day. However, Luther's request for a disputation went unanswered because the Ninety-Five Theses caused such controversy that today they are credited with beginning the Reformation. Due to the controversial nature of his handwritten document, Luther printed them in Wittenberg in Latin. In 1518, the German translation was published and during the course of the next two years an additional twenty-two German editions were printed.(1) If it had not been for the efficiency of movable type printing for duplicating the document, his reforming work and influence on other reformers would have developed differently.
Before looking into Luther's use of printing, a preliminary concern is the literacy demographics of Germans at the time of the Reformation. In Germany, overall literacy has been estimated to be as low as five percent in rural areas, with the urban literacy peaking at thirty percent. (2) Such circumstances raise the question, "How did the Reformation take hold in Germany if texts and reading were important for its success?" One answer came from "Nürnberg, [where] as in other towns, it became the practice to read the books of Luther out loud in the market-place."(3) Another way Luther's publications were used was as in Speyer, where the people were "described as having the books read to them at supper, and as making transcripts of them"(4) A literate person, such as a doctor, lawyer, or teacher, would acquire Luther's latest pamphlet and then read it to crowds or households gathered for the purpose. Those who could read, read to others, and when there were literate persons in the audience they sometimes duplicated the publication by hand for distribution. The availability of printed works and manuscript copies in the vernacular motivated some of the illiterate to learn how to read.
Another preliminary aspect to consider is the size of the printing industry in Germany. Luther and the other German reformers needed sufficient printing equipment for the fullest distribution of their publications. The years between Guttenberg's first press and Luther's use of the technology in the 1520s brought a significant increase in the number of printing businesses. Richard Cole has analyzed the industry's publication of works by Martin Luther and other Protestants, concluding that Germany dominated the industry with
almost fifty identifiable printers of Luther's works in the 1520s printing in twelve separate locations...There are another seventy printers in various locations printing mostly Reformation tracts. Overall for the sixteenth-century, there are three hundred and ninety-one printers, eight hundred and ninety-four authors and one hundred and twenty-five cities....Eighty-two of the smaller locations where printers lived and worked have not been the subject of specific print research. The odds are overwhelmingly in favor of the contention that if a German printer published pamphlets especially in the 1520s, he published Protestant materials. What is often thought of as a war of pamphlets between the followers of Luther and the pope in Rome may be seen as a lopsided one.(5)
Since Germany was the homeland of Guttenberg's technology, it would follow that the printing industry might see its greatest growth in the land of its invention. In all regions of Germany, a given purchaser could buy more books at lower prices and bring them into his study or library.(6) Luther's Germany was thus an ideal location for publishing because the country had enough printers to enable the greatest distribution of his writings.
With presses available and secondary ways of presenting his writings to the illiterate, Luther fed Germany with text after text. Richard Crofts has tabulated and charted the number of publications produced in Germany during the period beginning with 1521 and ending in 1545 with particular emphasis on Luther. The source of his information on German publications for his study was the Short Title Catalogue of Books Printed in the German Speaking Countries. The first table he compiled compares the number of printed works per five-year period, which included non-religious works, works by Reformers, and works by Catholics.(7) The period of 1521 to 1545 produced a total of 5,651 works with 30.2% published by reformers, 34.1% were non-religious titles, and 17.6% were by Catholics.(8) In the first half of the same period, the reformers' works constituted an even greater proportion of the output with the reformers producing 46% of the works.(9)
Crofts's Table IV analyzes the period 1521 to 1545 on a year-by-year basis, with the publications distributed in three categories: Luther's percentage of the reformers' works, Luther's percentage of the total published works, and the percentage of Luther's works published in German.(10) What is staggering about the analysis is that in the twenty-five year period covered by the study, Luther's publications averaged 51.3 percent of the total reformers' works listed in the Short Title Catalog. The highest year was 1522 with 71%, and the lowest was 1540 with 22.2%. Luther's concern to publish in German is clearly seen because he averaged 88.6% of his works in German; the lowest level was 66.7% in 1538, and the highest was 100% in 1528, 1529, and 1542. Publishing in the vernacular was important to Luther and the other reformers because they appealed to the non-clerics and common people.
As with any writer, the printer chosen for publishing is an important decision and Luther's first Wittenberg printer was Johann Grünenberg. At the request of the Wittenberg University leadership Grünenberg had moved to Wittenberg from Erfurt in 1508 to set up a printing operation. His skill and competence as a printer is shown in his publication of Andreas Bodenstein von Karlstadt's Distinctiones Thomistarum, which was the first work printed in Wittenberg in which Hebrew type was set (11). Grünenberg also published Luther's translation and commentary on Psalms 6, 32, 38, 51, 102, 130, and 143, titled, The Seven Penitential Psalms.(12) A popular publication, The Seven Penitential Psalms was republished in Leipzig, Strassburg, and Erfurt.(13) Using Grünenberg for his printer was convenient for Luther because he could keep a close eye on the process while he taught at the university.(14)
Luther eventually became dissatisfied with Grünenberg's work, so he brought the experienced and successful printer Melchior Lotther to Wittenberg from Leipzig to establish a printing shop.(15) Lotther completed the set-up of his Wittenberg facility and when he returned to Leipzig he gave the management of the facility to his sons, Michael and Melchior the Younger.(16) It seems that Luther had a good relationship with the Lotthers because Michael married one of Luther's first cousins (17). Luther found the Lotthers's printing business an efficient operation for publishing his writings and spreading the Reformation.
In a letter to John Lang written from Wittenberg in 1520, Luther mentions his soon-to-be-published Second Lectures on the Psalms. In order to reduce the potential for a financial loss, as was the case with one of his recent publications, Luther and the printer decided to print and sell the first fascicle of the book. The number of fascicles sold was perceived as an indication of how many copies of each additional fascicle would be required. Gottfried G. Krodel, the editor of volume forty-eight of the American edition of Luther's Works, believes that the publication of Second Lectures on the Psalms was the first time such a publishing technique was attempted.(18)
Two of Luther's greatest contributions to the Reformation were his German New Testament, which was published in 1522, and then the German Bible, which was completed in 1534.(19) Luther thought it was important to get the Word of God into the common language of the people, but widespread acceptance of his German translation was complicated by Germany's lacking a common tongue. At the time Luther translated the Bible, there were several dialects of the German language. Remarkably, Luther's translation of the New Testament not only provided a vernacular version of the Bible (his chief aim), but was also used to teach reading to the illiterate, thus promoting a unified German language. As with many other publications by Luther, the New Testament and then the German Bible were well received. One prominent printer in Wittenberg was Hans Lufft, who produced thousands of Luther's Bibles between 1534 and 1574. Lufft even claimed to own the rights to Luther's German Bible when the reformer died in 1546, but Luther had not granted the rights to anyone.
Besides Grünenberg, Lufft, and the Lotthers, several other printers established printing businesses in Wittenberg. Nickel Schirlentz operated a press in his home for several years. Hans Weiss, who had worked for the Lotthers until 1525, ventured out on his own and established a printing business. The artist Lucas Cranach partnered with the goldsmith Christian Döring to establish a printing shop. This partnership resulted in the production of several dozen Luther pamphlets between 1522 and 1525. One of Cranach and Döring's former employees, Joseph Klug, published Luther's "A Mighty Fortress" in his recently opened shop in 1529.(20) As Luther's popularity spread and he continued to write, printers took advantage of the boon, some honorably, but others were not so honorable.
Unauthorized printing of Martin Luther's publications was a considerable problem. Publishers saw the profit potential and would print their own editions of his works, often with little concern for the quality of the finished product. On one occasion, some of Luther's unfinished books were stolen from his printers, taken to a town where the victimized printers' rights to publish had no validity, and then the stolen materials were completed and sold. In September of 1525, a similar theft occurred in Wittenberg. This incident led to Luther complaining to the magistrates in Nürnberg that several pages of a book of his sermons were stolen from his local printer and were being used by a printer in their city to produce a pirated volume.(21) In a later edition of Luther's German New Testament he included in his preface a sarcastic comment, "I beg all my friends and foes, my masters, printers, and readers, let this New Testament be mine. If you lack one, then make one for yourselves.... But this Testament is Luther's German Testament."(22) Luther's successful use of the publication industry and his considerable labor translating the Bible into German were seen by unscrupulous printers as fair game for their own bottom lines.
Not only was Luther frustrated by his works being pirated, but he was angry about the sloppy work produced by his printers. Writing to George Spalatin in 1521, Luther expressed his displeasure with careless typesetters who created errors in his writings and perpetuated the compromised publications through successive editions of his works.
I have received the second and third parts of my Sermon on Confession from you and the first part from Melanchthon. I cannot say how sorry and disgusted I am with the printing. I wish I had sent nothing in German, because they print it so poorly, carelessly, and confusedly, to say nothing of bad types and paper. John the printer is always the same old Johnny. Please do not let him print any of my German Homilies, but return them for me to send elsewhere. What is the use of my working so hard if the errors in the printed books give occasion to other publishers to make them still worse?... I shall forward no more until I learn that these sordid mercenaries care less for their profits than for the public. Such printers seem to think: "It is enough for me to get the money; let the readers look out for the matter."(23)
Later on in the letter Luther decided to allow "the same old Johnny" to go ahead and print the German homilies since he had already started the project. Luther's problems with printers were not unique because Andreas Karlstadt complained that whole columns of print were discarded and sentences muddled by printers of his works.(24) As printing technology improved, so did the quality of the publications. Unfortunately, technology could not improve the quality of the printers themselves.
It has been shown in these two articles that the invention of movable type printing wrought a technological revolution in Europe. After more than sixty years of development and improvement, the printers of Luther's era were able to publish his books, pamphlets, tracts, treatises, hymns, and his translations of the Bible into German. He was proficient in his use of printing and the common presence of his myriad publications in the Germany of his era displays his productivity. However, as is often the case with new technology, there were challenges to its advancement. The publications were distributed in a Germany with literacy levels varying from five to thirty percent. The scribes, who depended on the old manuscript technology for their livelihoods, found reasons to disparage Gutenberg's wonder. Authors suffered from seeing their work poorly composed and edited by their own printers, but even worse was enduring the theft of their written works that were then published by opportunistic printers. Books were expensive and it was often found that the lower cost publications, such as pamphlets and tracts, had to be used even though their limited number of pages forced less than a satisfactory amount of content. Despite the problems, the printing press survived its first century of use and became the way that texts were preserved and communicated.
Finally, the following quote gives a sense of how greatly Gutenberg's wonder changed the West. The availability of books increased so much with the advent of movable type that it could be said, "A man born in 1453, the year of the fall of Constantinople, could look back from his fiftieth year on a lifetime in which about eight million books had been printed, more perhaps than all the scribes of Europe had produced since Constantine founded his city in A.D. 330." (25) Martin Luther embraced printing technology and efficiently used it for the distribution of his writings, but most importantly for his readers, the printing press provided the German Bible so that all could read the Word of God.
Dr. Barry Waugh is a church historian and scholar.
1. G. H. Putnam, Books and their Makers During the Middle Ages, vol. 2, 1500-1709 (New York: G. P. Putnam's Sons, 1897), 222.
2. M. U. Edwards, Jr., Printing, Propaganda, and Martin Luther (Berkeley: University of California, 1994), 37-38.
3. Putnam, Books, vol. 2, 246.
4. Ibid.
5. R. G. Cole, "Reformation Printers: Unsung Heroes," Sixteenth Century Journal 15 (Fall 1984), 337.
Materials data, kept here for reference
+++
1.
{
  "formula": "SrNi3Ge",
  "functional": "meta-GGA SCAN",
  "state": "single point on PBEsol structure",
  "lattice": [[4.6191, 0.0000, 0.0000], [0.0000, 4.6191, 0.0000], [0.0000, 0.0000, 4.6191]],
  "species": ["Ni", "Ni", "Ni", "Ge", "Sr"],
  "frac_coords": [[0.0000, 0.0000, 0.5000], [0.5000, 0.0000, 0.0000], [0.0000, 0.5000, 0.0000], [0.5000, 0.5000, 0.5000], [0.0000, 0.0000, 0.0000]],
  "rho_g_cm3": 5.7,
  "dos_ef_per_ev_cell": 4.0,
  "m_tot_mub_per_fu": 0.00,
  "sg": "Pm-3m (221)",
  "energy_ev_per_cell": -80.12
}



2.
{
  "formula": "TaNiGe",
  "functional": "meta-GGA SCAN",
  "state": "single point on PBEsol structure",
  "lattice": [[3.7506, 0.0000, 0.0000], [0.0000, 6.2148, 0.0000], [0.0000, 0.0000, 7.1114]],
  "species": ["Ge", "Ge", "Ge", "Ge", "Ta", "Ta", "Ta", "Ta", "Ni", "Ni", "Ni", "Ni"],
  "frac_coords": [[0.7500, 0.2843, 0.1127], [0.2500, 0.7157, 0.8873], [0.7500, 0.7843, 0.3873], [0.2500, 0.2157, 0.6127], [0.2500, 0.9853, 0.1785], [0.7500, 0.0147, 0.8215], [0.7500, 0.5147, 0.6785], [0.2500, 0.4853, 0.3215], [0.2500, 0.3357, 0.9268], [0.2500, 0.8357, 0.5732], [0.7500, 0.1643, 0.4268], [0.7500, 0.6643, 0.0732]],
  "rho_g_cm3": 12.5,
  "dos_ef_per_ev_cell": 5.9,
  "m_tot_mub_per_fu": 0.00,
  "sg": "Pnma (62)",
  "energy_ev_per_cell": -413.23
}



3.
{
  "formula": "Ta2Ni3Ge",
  "functional": "meta-GGA SCAN",
  "state": "single point on PBEsol structure",
  "lattice": [[4.8386, 0.0000, 0.0000], [-2.4193, 4.1904, 0.0000], [0.0000, 0.0000, 7.6765]],
  "species": ["Ni", "Ni", "Ni", "Ni", "Ni", "Ni", "Ta", "Ta", "Ta", "Ta", "Ge", "Ge"],
  "frac_coords": [[0.1713, 0.3425, 0.2500], [0.8287, 0.1713, 0.7500], [0.3425, 0.1713, 0.7500], [0.6575, 0.8287, 0.2500], [0.8287, 0.6575, 0.7500], [0.1713, 0.8287, 0.2500], [0.6667, 0.3333, 0.0582], [0.3333, 0.6667, 0.9418], [0.3333, 0.6667, 0.5582], [0.6667, 0.3333, 0.4418], [0.0000, 0.0000, 0.0000], [0.0000, 0.0000, 0.5000]],
  "rho_g_cm3": 13.0,
  "dos_ef_per_ev_cell": 9.6,
  "m_tot_mub_per_fu": 2.77,
  "sg": "P6_3/mmc (194)",
  "energy_ev_per_cell": -406.22
}



4.
{
  "formula": "Ni2GeTe",
  "functional": "meta-GGA SCAN",
  "state": "single point on PBEsol structure",
  "lattice": [[4.3947, 0.0000, 0.0000], [2.1974, 3.8059, 0.0000], [2.1974, 1.2686, 3.5883]],
  "species": ["Ge", "Ni", "Ni", "Te"],
  "frac_coords": [[0.0000, 0.0000, 0.0000], [0.2500, 0.2500, 0.2500], [0.7500, 0.7500, 0.7500], [0.5000, 0.5000, 0.5000]],
  "rho_g_cm3": 8.8,
  "dos_ef_per_ev_cell": 2.2,
  "m_tot_mub_per_fu": 0.00,
  "sg": "Fm-3m (225)",
  "energy_ev_per_cell": -87.89
}

=====

Entry 1:
! LiPmP2 (PBE, relaxed); values from VASP
&SYSTEM
  ibrav = 0, nat = 4, ntyp = 3
/
ATOMIC_SPECIES
Li 6.94 Li.upf
Pm 145.00 Pm.upf
P 30.97 P.upf
ATOMIC_POSITIONS crystal
Li 0.000 0.000 0.000
Pm 0.500 0.500 0.000
P 0.000 0.500 0.500
P 0.500 0.000 0.500
CELL_PARAMETERS angstrom
4.427 0.000 0.000
0.000 4.427 0.000
0.000 0.000 3.885
! SG   P4/mmm (123)
! Crystal system   tetragonal
! Energy of formation   -689 meV per atom

Entry 2:
+++
6. Elizabeth Eisenstein, The Printing Press as an Agent of Change (Cambridge: Cambridge University Press, 1979), 72.
7. Richard A. Crofts, "Printing, Reform, & the Catholic Reformation in Germany, 1521-45 Sixteenth Century Journal 16:3 (Fall 1985), 369-381, see: Appendix A for his table.
8. Crofts, "Printing," 373.
9. Ibid.
10. Crofts, "Printing," Appendix A.
11. Maria Grossman, "Wittenberg Printing, Early 16th-Century," 16th-Century Essays and Studies 1 (1970): 65-69.
12. Grossman, "Wittenberg," 73.
13. Ibid.
14. The Works of Martin Luther, ed. Gottfried G. Krodel, vol. 48, (Philadelphia: Fortress Press, 1967), 19.
15. W. G. Tillmanns, "The Lotthers: Forgotten Printers of the Reformation," Concordia Theological Monthly 22:2 (Feb. 1951): 261.
16. Putnam, Books, vol. 2, 230.
17. Ian Siggins, Luther and His Mother (Philadelphia: Fortress Press, 1981), 30; quoted in Cole, "Reformation Printers," 333 n. 11.
18. The Works of Martin Luther, vol. 48, 148-151.
19. Putnam, Books, vol. 2, 223-24.
20. Cole, "Reformation Printers," 335.
21. Putnam, Books, vol. 2, 236.
22. Michael H. Black, "The Printed Bible," in Cambridge History of the Bible, vol. 3, The West from the Reformation to the Present Day, ed. S. L. Greenslade (Cambridge: University Press, 1963), 433.
23. Preserved Smith, The Life and Letters of Martin Luther (London: John Murray, 1911), 124-125. Written by Luther, August 15, 1521, to George Spalatin at Altenburg.
24. Gordon Rupp, Patterns of Reformation, (Philadelphia: Fortress Press, 1969), 121.
25. Michael Clapham, "Printing," A History of Technology, vol. 3, From the Renaissance to the Industrial Revolution, ed. Charles Singer, et. al (Oxford: Clarendon Press, 1957), 377.